-- Given --
'''
(1)
# Mn3ReO6

Crystalline Mn3ReO6 at its relaxed geometry (PBE+U, the Materials Project).

abc: 5.3588 5.4536 7.8309
angles: 90.35 90.00 90.52
Closest atoms and distances in Å follow each position.
Space group P-1 (No. 2)
One atom of each set of equivalent atoms:
Mn 0.0000 0.0000 0.0000  6 O 2.12-2.23
Mn 0.0000 0.4546 0.7557  4 O 2.13-2.18
Mn 0.4954 0.9489 0.7405  4 O 2.14-2.18
Mn 0.5000 0.5000 0.5000  6 O 2.11-2.22
Re 0.0000 0.0000 0.5000  6 O 1.94-1.98
Re 0.5000 0.5000 0.0000  6 O 1.92-1.98
O 0.1219 0.9270 0.2665  1 Re 1.98, 2 Mn 2.15-2.18
O 0.1588 0.7014 0.5749  1 Re 1.94, 1 Mn 2.13
O 0.1922 0.6706 0.9436  1 Re 1.95, 2 Mn 2.12-2.14
O 0.3083 0.1712 0.5562  1 Re 1.94, 2 Mn 2.11-2.14
O 0.3448 0.2001 0.9255  1 Re 1.92
O 0.3789 0.4284 0.2333  1 Re 1.98, 2 Mn 2.14-2.18

Its total energy is -8.05 eV per atom. The volume comes out at 11.442 Å³/atom. The calculation puts the formation energy at -2.01 eV per atom. The calculation puts the MP2020-corrected energy at -8.967 eV/atom. For the energy relative to the lowest polymorph listed for this composition, the calculation gives 0 meV per atom.


(2)
# Li3Cr4P6O24

Crystalline Li3Cr4P6O24 at its relaxed geometry (PBE+U, the Materials Project).

abc: 8.3568 8.6356 11.9181
angles: 90.12 90.16 90.11
Closest atoms and distances in Å follow each position.
Space group P1 (No. 1)
One atom of each set of equivalent atoms:
Li 0.0000 0.0000 0.0000  4 O 1.98-2.04
Li 0.0008 0.5903 0.3486  4 O 1.94-2.06
Li 0.1005 0.2890 0.8365  4 O 1.98-2.07
Li 0.4919 0.9055 0.8525  4 O 1.94-2.00
Li 0.6000 0.2152 0.3385  4 O 1.97-2.06
Li 0.7267 0.7138 0.4796  4 O 1.94-2.03
Cr 0.1640 0.0276 0.2710  6 O 1.91-2.01
Cr 0.1658 0.9658 0.7706  6 O 1.92-2.01
Cr 0.1718 0.4696 0.0430  6 O 1.89-1.97
Cr 0.1767 0.5241 0.5479  6 O 1.89-2.04
Cr 0.6627 0.5333 0.2705  6 O 1.91-2.04
Cr 0.6658 0.4741 0.7724  6 O 1.93-1.98
Cr 0.6675 0.9733 0.0488  6 O 1.93-2.07
Cr 0.6702 0.0352 0.5445  6 O 1.90-1.99
P 0.0292 0.8830 0.5080  4 O 1.51-1.57
P 0.0326 0.6116 0.8026  4 O 1.53-1.56
P 0.3073 0.1116 0.0146  4 O 1.52-1.56
P 0.3093 0.3815 0.3034  4 O 1.53-1.56
P 0.3844 0.2503 0.6660  4 O 1.54-1.55
P 0.4537 0.7491 0.6494  4 O 1.54-1.55
P 0.5267 0.6157 0.0086  4 O 1.52-1.55
P 0.5303 0.8912 0.3028  4 O 1.54-1.55
P 0.8062 0.1186 0.8049  4 O 1.54-1.57
P 0.8068 0.3919 0.5157  4 O 1.54-1.57
P 0.8864 0.2514 0.1657  4 O 1.54-1.56
P 0.9572 0.7484 0.1492  4 O 1.53-1.55
O 0.0204 0.8591 0.2419  1 P 1.55
O 0.0416 0.7036 0.4896  1 P 1.57
O 0.0565 0.4960 0.9002  1 P 1.55
O 0.0633 0.9225 0.6293  1 P 1.51
O 0.0783 0.7765 0.8383  1 P 1.53
O 0.1022 0.6688 0.0962  1 P 1.53
O 0.1377 0.9778 0.4298  1 P 1.54
O 0.1430 0.5533 0.7077  1 P 1.55
O 0.1871 0.0514 0.1045  1 P 1.56
O 0.1941 0.4743 0.3807  1 P 1.56
O 0.2371 0.1778 0.7233  1 P 1.54
O 0.2421 0.2725 0.9760  1 P 1.56
O 0.2816 0.4266 0.1811  1 P 1.53
O 0.2912 0.0018 0.9121  1 P 1.55
O 0.2994 0.2038 0.3164  1 P 1.54
O 0.3237 0.3625 0.5743  1 P 1.55
O 0.3470 0.6747 0.5568  1 P 1.55
O 0.3514 0.5713 0.9805  1 P 1.55
O 0.3536 0.8938 0.2650  1 P 1.54
O 0.3653 0.8744 0.7168  1 P 1.54
O 0.4803 0.1169 0.0546  1 P 1.52
O 0.4810 0.1256 0.6029  1 P 1.54
O 0.4852 0.4184 0.3364  1 P 1.55
O 0.4881 0.3280 0.7580  1 P 1.55
O 0.5171 0.6390 0.7404  1 P 1.54
O 0.5430 0.7925 0.9887  1 P 1.55
O 0.5570 0.0081 0.4005  1 P 1.55
O 0.5611 0.5802 0.1309  1 P 1.52
O 0.5846 0.7286 0.3417  1 P 1.55
O 0.5984 0.8241 0.5897  1 P 1.55
O 0.6385 0.5225 0.9304  1 P 1.55
O 0.6423 0.9455 0.2084  1 P 1.54
O 0.6894 0.0263 0.8802  1 P 1.55
O 0.6966 0.4524 0.6090  1 P 1.54
O 0.7385 0.3222 0.2231  1 P 1.54
O 0.7491 0.2305 0.4758  1 P 1.55
O 0.7834 0.0718 0.6814  1 P 1.54
O 0.7903 0.5074 0.4151  1 P 1.57
O 0.7999 0.2961 0.8164  1 P 1.54
O 0.8333 0.1343 0.0754  1 P 1.54
O 0.8486 0.9172 0.4822  1 P 1.57
O 0.8544 0.6070 0.7647  1 P 1.56
O 0.8616 0.6280 0.2175  1 P 1.54
O 0.8619 0.8314 0.0562  1 P 1.54
O 0.9819 0.0789 0.8425  1 P 1.57
O 0.9825 0.3769 0.1030  1 P 1.54
O 0.9850 0.3911 0.5513  1 P 1.55
O 0.9906 0.1761 0.2599  1 P 1.56
'''

-- What to do --
Transcribe all of the data further above without additions, please.

-- Response --
(1)
# Mn3ReO6

Crystalline Mn3ReO6 at its relaxed geometry (PBE+U, the Materials Project).

abc: 5.3588 5.4536 7.8309
angles: 90.35 90.00 90.52
Closest atoms and distances in Å follow each position.
Space group P-1 (No. 2)
One atom of each set of equivalent atoms:
Mn 0.0000 0.0000 0.0000  6 O 2.12-2.23
Mn 0.0000 0.4546 0.7557  4 O 2.13-2.18
Mn 0.4954 0.9489 0.7405  4 O 2.14-2.18
Mn 0.5000 0.5000 0.5000  6 O 2.11-2.22
Re 0.0000 0.0000 0.5000  6 O 1.94-1.98
Re 0.5000 0.5000 0.0000  6 O 1.92-1.98
O 0.1219 0.9270 0.2665  1 Re 1.98, 2 Mn 2.15-2.18
O 0.1588 0.7014 0.5749  1 Re 1.94, 1 Mn 2.13
O 0.1922 0.6706 0.9436  1 Re 1.95, 2 Mn 2.12-2.14
O 0.3083 0.1712 0.5562  1 Re 1.94, 2 Mn 2.11-2.14
O 0.3448 0.2001 0.9255  1 Re 1.92
O 0.3789 0.4284 0.2333  1 Re 1.98, 2 Mn 2.14-2.18

Its total energy is -8.05 eV per atom. The volume comes out at 11.442 Å³/atom. The calculation puts the formation energy at -2.01 eV per atom. The calculation puts the MP2020-corrected energy at -8.967 eV/atom. For the energy relative to the lowest polymorph listed for this composition, the calculation gives 0 meV per atom.


(2)
# Li3Cr4P6O24

Crystalline Li3Cr4P6O24 at its relaxed geometry (PBE+U, the Materials Project).

abc: 8.3568 8.6356 11.9181
angles: 90.12 90.16 90.11
Closest atoms and distances in Å follow each position.
Space group P1 (No. 1)
One atom of each set of equivalent atoms:
Li 0.0000 0.0000 0.0000  4 O 1.98-2.04
Li 0.0008 0.5903 0.3486  4 O 1.94-2.06
Li 0.1005 0.2890 0.8365  4 O 1.98-2.07
Li 0.4919 0.9055 0.8525  4 O 1.94-2.00
Li 0.6000 0.2152 0.3385  4 O 1.97-2.06
Li 0.7267 0.7138 0.4796  4 O 1.94-2.03
Cr 0.1640 0.0276 0.2710  6 O 1.91-2.01
Cr 0.1658 0.9658 0.7706  6 O 1.92-2.01
Cr 0.1718 0.4696 0.0430  6 O 1.89-1.97
Cr 0.1767 0.5241 0.5479  6 O 1.89-2.04
Cr 0.6627 0.5333 0.2705  6 O 1.91-2.04
Cr 0.6658 0.4741 0.7724  6 O 1.93-1.98
Cr 0.6675 0.9733 0.0488  6 O 1.93-2.07
Cr 0.6702 0.0352 0.5445  6 O 1.90-1.99
P 0.0292 0.8830 0.5080  4 O 1.51-1.57
P 0.0326 0.6116 0.8026  4 O 1.53-1.56
P 0.3073 0.1116 0.0146  4 O 1.52-1.56
P 0.3093 0.3815 0.3034  4 O 1.53-1.56
P 0.3844 0.2503 0.6660  4 O 1.54-1.55
P 0.4537 0.7491 0.6494  4 O 1.54-1.55
P 0.5267 0.6157 0.0086  4 O 1.52-1.55
P 0.5303 0.8912 0.3028  4 O 1.54-1.55
P 0.8062 0.1186 0.8049  4 O 1.54-1.57
P 0.8068 0.3919 0.5157  4 O 1.54-1.57
P 0.8864 0.2514 0.1657  4 O 1.54-1.56
P 0.9572 0.7484 0.1492  4 O 1.53-1.55
O 0.0204 0.8591 0.2419  1 P 1.55
O 0.0416 0.7036 0.4896  1 P 1.57
O 0.0565 0.4960 0.9002  1 P 1.55
O 0.0633 0.9225 0.6293  1 P 1.51
O 0.0783 0.7765 0.8383  1 P 1.53
O 0.1022 0.6688 0.0962  1 P 1.53
O 0.1377 0.9778 0.4298  1 P 1.54
O 0.1430 0.5533 0.7077  1 P 1.55
O 0.1871 0.0514 0.1045  1 P 1.56
O 0.1941 0.4743 0.3807  1 P 1.56
O 0.2371 0.1778 0.7233  1 P 1.54
O 0.2421 0.2725 0.9760  1 P 1.56
O 0.2816 0.4266 0.1811  1 P 1.53
O 0.2912 0.0018 0.9121  1 P 1.55
O 0.2994 0.2038 0.3164  1 P 1.54
O 0.3237 0.3625 0.5743  1 P 1.55
O 0.3470 0.6747 0.5568  1 P 1.55
O 0.3514 0.5713 0.9805  1 P 1.55
O 0.3536 0.8938 0.2650  1 P 1.54
O 0.3653 0.8744 0.7168  1 P 1.54
O 0.4803 0.1169 0.0546  1 P 1.52
O 0.4810 0.1256 0.6029  1 P 1.54
O 0.4852 0.4184 0.3364  1 P 1.55
O 0.4881 0.3280 0.7580  1 P 1.55
O 0.5171 0.6390 0.7404  1 P 1.54
O 0.5430 0.7925 0.9887  1 P 1.55
O 0.5570 0.0081 0.4005  1 P 1.55
O 0.5611 0.5802 0.1309  1 P 1.52
O 0.5846 0.7286 0.3417  1 P 1.55
O 0.5984 0.8241 0.5897  1 P 1.55
O 0.6385 0.5225 0.9304  1 P 1.55
O 0.6423 0.9455 0.2084  1 P 1.54
O 0.6894 0.0263 0.8802  1 P 1.55
O 0.6966 0.4524 0.6090  1 P 1.54
O 0.7385 0.3222 0.2231  1 P 1.54
O 0.7491 0.2305 0.4758  1 P 1.55
O 0.7834 0.0718 0.6814  1 P 1.54
O 0.7903 0.5074 0.4151  1 P 1.57
O 0.7999 0.2961 0.8164  1 P 1.54
O 0.8333 0.1343 0.0754  1 P 1.54
O 0.8486 0.9172 0.4822  1 P 1.57
O 0.8544 0.6070 0.7647  1 P 1.56
O 0.8616 0.6280 0.2175  1 P 1.54
O 0.8619 0.8314 0.0562  1 P 1.54
O 0.9819 0.0789 0.8425  1 P 1.57
O 0.9825 0.3769 0.1030  1 P 1.54
O 0.9850 0.3911 0.5513  1 P 1.55
O 0.9906 0.1761 0.2599  1 P 1.56